What to do:
Please duplicate the contents further down with every line break kept.

Excerpt:
┌──
Entry from the Materials Project: a geometry-optimized K3V5S10 structure (PBE-GGA). Values from VASP.

Calculated values
SG: No. 1
energy relative to the elements: -1275 meV per atom

Cell and atoms, written as Quantum ESPRESSO input:
```
&SYSTEM
  ibrav = 0, nat = 18, ntyp = 3
/
ATOMIC_SPECIES
K 39.10 K.upf
S 32.06 S.upf
V 50.94 V.upf
ATOMIC_POSITIONS crystal
K 0.8599 0.4981 0.4010
K 0.0516 0.5075 0.8035
K 0.2652 0.5023 0.1959
S 0.1794 0.8311 0.1382
S 0.6289 0.1722 0.4675
S 0.4268 0.1810 0.0659
S 0.8303 0.1855 0.8742
S 0.5653 0.8148 0.9190
S 0.9721 0.8214 0.7304
S 0.7744 0.8227 0.3277
S 0.3751 0.8115 0.5300
S 0.2413 0.1929 0.6795
S 0.0403 0.1810 0.2810
V 0.3940 0.0037 0.7847
V 0.6031 0.0011 0.1783
V 0.2109 0.9991 0.4263
V 0.8109 0.0022 0.6071
V 0.9868 0.0020 0.0017
CELL_PARAMETERS angstrom
5.8483 0.0000 0.0000
-1.9559 8.4496 0.0000
-2.9169 -3.4349 7.7834
```

~~~~~

Compound: ErAgS2
Source: the Materials Project database
Functional: meta-GGA r2SCAN
Structure: relaxed

```
data_ErAgS2
_chemical_formula_sum 'Er4 Ag4 S8'
_cell_length_a 5.373
_cell_length_b 5.373
_cell_length_c 11.890
_cell_angle_alpha 90.00
_cell_angle_beta 90.00
_cell_angle_gamma 90.00
_symmetry_space_group_name_H-M 'I 41 m d'
_symmetry_Int_Tables_number 109
_symmetry_space_group_name_Hall 'I 4bw -2'
loop_
_atom_site_label
_atom_site_fract_x
_atom_site_fract_y
_atom_site_fract_z
_atom_site_occupancy
Er1 0.000 0.000 0.000 1
Ag1 0.000 0.000 0.462 1
S1 0.000 0.000 0.230 1
S2 0.000 0.000 0.774 1
```

Calculated values
DFT total energy in eV for the cell shown: -309.8
Calculated formation energy in eV/atom: -1.526
Magnetic moment in μB/f.u.: 0.00

~~~~~

# Er2WO6 (meta-GGA r2SCAN, optimized geometry)
# Distance to the lowest polymorph of the same formula, meV per atom: 22
data_Er2WO6
_chemical_formula_sum 'Er8 W4 O24'
_symmetry_space_group_name_H-M 'P 21 21 21'
_symmetry_Int_Tables_number 19
_cell_length_a 5.1690
_cell_length_b 8.9829
_cell_length_c 9.8093
_cell_angle_alpha 90.00
_cell_angle_beta 90.00
_cell_angle_gamma 90.00
loop_
_symmetry_equiv_pos_as_xyz
'x,y,z'
'-x+1/2,-y,z+1/2'
'x+1/2,-y+1/2,-z'
'-x,y+1/2,-z+1/2'
loop_
_atom_site_label
_atom_site_fract_x
_atom_site_fract_y
_atom_site_fract_z
_atom_site_occupancy
Er1 0.0167 0.1035 0.4663 1
Er2 0.0397 0.2193 0.8726 1
W1 0.0380 0.4951 0.3465 1
O1 0.0877 0.8425 0.0309 1
O2 0.1773 0.9540 0.3000 1
O3 0.1787 0.6378 0.8187 1
O4 0.1950 0.6415 0.2351 1
O5 0.2344 0.1149 0.0683 1
O6 0.2470 0.5898 0.4953 1

***

Below is a relaxed Bi2I4O13 crystal, with properties calculated at the meta-GGA r2SCAN level.

```
data_Bi2I4O13
_chemical_formula_sum 'Bi8 I16 O52'
_symmetry_space_group_name_H-M 'P 21 21 21'
_symmetry_Int_Tables_number 19
_cell_length_a 5.7127
_cell_length_b 12.3300
_cell_length_c 16.8753
_cell_angle_alpha 90.00
_cell_angle_beta 90.00
_cell_angle_gamma 90.00
loop_
_symmetry_equiv_pos_as_xyz
'x,y,z'
'-x+1/2,-y,z+1/2'
'x+1/2,-y+1/2,-z'
'-x,y+1/2,-z+1/2'
loop_
_atom_site_label
_atom_site_fract_x
_atom_site_fract_y
_atom_site_fract_z
_atom_site_occupancy
Bi1 0.2150 0.1536 0.1745 1
Bi2 0.2351 0.5121 0.2018 1
I1 0.0627 0.1414 0.9694 1
I2 0.1206 0.5482 0.9277 1
I3 0.1864 0.8287 0.2368 1
I4 0.2370 0.8327 0.9113 1
O1 0.0235 0.0706 0.3981 1
O2 0.0387 0.5078 0.5595 1
O3 0.0417 0.6316 0.4264 1
O4 0.0610 0.1675 0.5570 1
O5 0.0805 0.5362 0.8207 1
O6 0.0855 0.3312 0.2022 1
O7 0.0911 0.8456 0.8149 1
O8 0.0945 0.9444 0.5511 1
O9 0.0943 0.9835 0.2250 1
O10 0.0999 0.2909 0.3912 1
O11 0.1015 0.1532 0.8150 1
O12 0.1345 0.6679 0.2631 1
O13 0.1932 0.7178 0.5602 1
```

***

Below is a relaxed Cu4Bi5S10 crystal, with properties calculated at the meta-GGA r2SCAN level.

```
data_Cu4Bi5S10
_chemical_formula_sum 'Cu8 Bi10 S20'
_symmetry_space_group_name_H-M 'C 1 2/m 1'
_symmetry_Int_Tables_number 12
_cell_length_a 17.5120
_cell_length_b 3.8781
_cell_length_c 12.8714
_cell_angle_alpha 90.00
_cell_angle_beta 107.48
_cell_angle_gamma 90.00
loop_
_symmetry_equiv_pos_as_xyz
'x,y,z'
'-x,-y,-z'
'-x,y,-z'
'x,-y,z'
'x+1/2,y+1/2,z'
└──

Done:
Entry from the Materials Project: a geometry-optimized K3V5S10 structure (PBE-GGA). Values from VASP.

Calculated values
SG: No. 1
energy relative to the elements: -1275 meV per atom

Cell and atoms, written as Quantum ESPRESSO input:
```
&SYSTEM
  ibrav = 0, nat = 18, ntyp = 3
/
ATOMIC_SPECIES
K 39.10 K.upf
S 32.06 S.upf
V 50.94 V.upf
ATOMIC_POSITIONS crystal
K 0.8599 0.4981 0.4010
K 0.0516 0.5075 0.8035
K 0.2652 0.5023 0.1959
S 0.1794 0.8311 0.1382
S 0.6289 0.1722 0.4675
S 0.4268 0.1810 0.0659
S 0.8303 0.1855 0.8742
S 0.5653 0.8148 0.9190
S 0.9721 0.8214 0.7304
S 0.7744 0.8227 0.3277
S 0.3751 0.8115 0.5300
S 0.2413 0.1929 0.6795
S 0.0403 0.1810 0.2810
V 0.3940 0.0037 0.7847
V 0.6031 0.0011 0.1783
V 0.2109 0.9991 0.4263
V 0.8109 0.0022 0.6071
V 0.9868 0.0020 0.0017
CELL_PARAMETERS angstrom
5.8483 0.0000 0.0000
-1.9559 8.4496 0.0000
-2.9169 -3.4349 7.7834
```

~~~~~

Compound: ErAgS2
Source: the Materials Project database
Functional: meta-GGA r2SCAN
Structure: relaxed

```
data_ErAgS2
_chemical_formula_sum 'Er4 Ag4 S8'
_cell_length_a 5.373
_cell_length_b 5.373
_cell_length_c 11.890
_cell_angle_alpha 90.00
_cell_angle_beta 90.00
_cell_angle_gamma 90.00
_symmetry_space_group_name_H-M 'I 41 m d'
_symmetry_Int_Tables_number 109
_symmetry_space_group_name_Hall 'I 4bw -2'
loop_
_atom_site_label
_atom_site_fract_x
_atom_site_fract_y
_atom_site_fract_z
_atom_site_occupancy
Er1 0.000 0.000 0.000 1
Ag1 0.000 0.000 0.462 1
S1 0.000 0.000 0.230 1
S2 0.000 0.000 0.774 1
```

Calculated values
DFT total energy in eV for the cell shown: -309.8
Calculated formation energy in eV/atom: -1.526
Magnetic moment in μB/f.u.: 0.00

~~~~~

# Er2WO6 (meta-GGA r2SCAN, optimized geometry)
# Distance to the lowest polymorph of the same formula, meV per atom: 22
data_Er2WO6
_chemical_formula_sum 'Er8 W4 O24'
_symmetry_space_group_name_H-M 'P 21 21 21'
_symmetry_Int_Tables_number 19
_cell_length_a 5.1690
_cell_length_b 8.9829
_cell_length_c 9.8093
_cell_angle_alpha 90.00
_cell_angle_beta 90.00
_cell_angle_gamma 90.00
loop_
_symmetry_equiv_pos_as_xyz
'x,y,z'
'-x+1/2,-y,z+1/2'
'x+1/2,-y+1/2,-z'
'-x,y+1/2,-z+1/2'
loop_
_atom_site_label
_atom_site_fract_x
_atom_site_fract_y
_atom_site_fract_z
_atom_site_occupancy
Er1 0.0167 0.1035 0.4663 1
Er2 0.0397 0.2193 0.8726 1
W1 0.0380 0.4951 0.3465 1
O1 0.0877 0.8425 0.0309 1
O2 0.1773 0.9540 0.3000 1
O3 0.1787 0.6378 0.8187 1
O4 0.1950 0.6415 0.2351 1
O5 0.2344 0.1149 0.0683 1
O6 0.2470 0.5898 0.4953 1

***

Below is a relaxed Bi2I4O13 crystal, with properties calculated at the meta-GGA r2SCAN level.

```
data_Bi2I4O13
_chemical_formula_sum 'Bi8 I16 O52'
_symmetry_space_group_name_H-M 'P 21 21 21'
_symmetry_Int_Tables_number 19
_cell_length_a 5.7127
_cell_length_b 12.3300
_cell_length_c 16.8753
_cell_angle_alpha 90.00
_cell_angle_beta 90.00
_cell_angle_gamma 90.00
loop_
_symmetry_equiv_pos_as_xyz
'x,y,z'
'-x+1/2,-y,z+1/2'
'x+1/2,-y+1/2,-z'
'-x,y+1/2,-z+1/2'
loop_
_atom_site_label
_atom_site_fract_x
_atom_site_fract_y
_atom_site_fract_z
_atom_site_occupancy
Bi1 0.2150 0.1536 0.1745 1
Bi2 0.2351 0.5121 0.2018 1
I1 0.0627 0.1414 0.9694 1
I2 0.1206 0.5482 0.9277 1
I3 0.1864 0.8287 0.2368 1
I4 0.2370 0.8327 0.9113 1
O1 0.0235 0.0706 0.3981 1
O2 0.0387 0.5078 0.5595 1
O3 0.0417 0.6316 0.4264 1
O4 0.0610 0.1675 0.5570 1
O5 0.0805 0.5362 0.8207 1
O6 0.0855 0.3312 0.2022 1
O7 0.0911 0.8456 0.8149 1
O8 0.0945 0.9444 0.5511 1
O9 0.0943 0.9835 0.2250 1
O10 0.0999 0.2909 0.3912 1
O11 0.1015 0.1532 0.8150 1
O12 0.1345 0.6679 0.2631 1
O13 0.1932 0.7178 0.5602 1
```

***

Below is a relaxed Cu4Bi5S10 crystal, with properties calculated at the meta-GGA r2SCAN level.

```
data_Cu4Bi5S10
_chemical_formula_sum 'Cu8 Bi10 S20'
_symmetry_space_group_name_H-M 'C 1 2/m 1'
_symmetry_Int_Tables_number 12
_cell_length_a 17.5120
_cell_length_b 3.8781
_cell_length_c 12.8714
_cell_angle_alpha 90.00
_cell_angle_beta 107.48
_cell_angle_gamma 90.00
loop_
_symmetry_equiv_pos_as_xyz
'x,y,z'
'-x,-y,-z'
'-x,y,-z'
'x,-y,z'
'x+1/2,y+1/2,z'